[Entries]
____________
This record from OMol25 describes a 4-piece molecular cluster, C30H54BrNO12 overall. The level of theory is ωB97M-V/def2-TZVPD.

The LUMO energy comes out at 0.4 eV. As for the charge: 0. The calculation puts the gap between HOMO and LUMO at 9.12 eV. The structure (SMILES) is COCCCCCCC[C@@]1(CCCBr)COC[C@H]1C[C@@H](O)CN.C[C@@H]1COC(=O)O1.C[C@@H]1COC(=O)O1.C[C@@H]1COC(=O)O1.

Last column: Löwdin charge in e.
Element x y z (Å)
Br: -1.3195 -2.7860 3.7389  0.5108
O: 5.0049 0.6529 0.3628  -0.2649
O: -4.0214 3.2238 7.1040  0.0626
O: -4.2429 0.9850 -4.3481  -0.1167
O: 6.8741 -2.9500 -1.2092  0.1216
O: 0.5856 -1.9416 -2.5590  0.0965
O: 8.4643 -2.4356 0.3556  0.0691
O: -5.9112 2.2983 6.2975  0.0877
O: 8.9058 -4.0057 -1.1996  0.0671
O: -4.9659 0.2143 1.0807  -0.1984
O: -1.6339 -2.1156 -2.9082  0.0183
O: -0.8091 -0.2998 -1.7836  0.0883
O: -6.0512 3.9688 7.8569  0.1348
N: -4.3325 -1.8402 -3.1521  -0.0254
C: 7.9804 -3.1164 -0.7272  -0.4981
C: -0.6809 -1.0959 2.8725  -0.5883
C: -1.9496 -0.1320 2.4463  -0.2645
C: -5.3882 3.2316 7.1492  -0.5054
C: 10.1201 -3.7113 -0.5314  -0.1144
C: -4.6841 1.3382 -1.8039  -0.0868
C: -1.3610 3.1127 -1.2744  -0.1906
C: 1.2683 3.6544 -1.9238  -0.2014
C: -2.4040 2.8682 -0.0184  -0.1625
C: -4.3402 -0.6180 0.0164  -0.1459
C: -0.9978 -3.1108 -3.6909  -0.0971
C: -5.5442 -0.9211 -3.1515  -0.2201
C: 2.4854 2.5547 -2.2194  -0.2171
C: -5.0348 0.4390 5.0252  -0.0114
C: 9.6394 -3.1196 0.7591  -0.3508
C: 4.1014 0.8147 -0.8158  -0.2203
C: -3.5762 0.4575 -0.9751  -0.1606
C: -4.8399 1.8739 5.4706  -0.3556
C: 5.7681 -0.6040 0.2235  -0.1381
C: -3.6527 2.0732 6.3637  -0.1157
C: -0.6350 -1.3571 -2.3630  -0.4571
C: -4.1441 1.4563 1.2092  -0.1468
C: -1.5498 0.5867 1.0191  -0.1274
C: 0.2171 2.8874 -0.8918  -0.2311
C: 10.6279 -2.1668 1.3997  -0.0200
C: 1.4318 -3.7612 -3.9068  -0.0157
C: -5.1809 0.6763 -3.2196  -0.3148
C: 3.4218 2.3176 -0.8707  -0.1715
C: -2.8032 1.2995 0.2393  -0.2974
C: 0.3240 -3.2636 -3.0009  -0.3461
H: -5.0599 -0.2428 5.8823  0.0935
H: -4.8053 2.5374 4.5976  0.1532
H: 0.4641 3.3028 0.1898  0.1099
H: 10.1659 -1.6509 2.2481  0.0904
H: -2.7314 2.2520 5.8024  0.1393
H: 1.2551 -4.7966 -4.2131  0.0935
H: -3.5246 -1.3918 0.3729  0.1257
H: 2.3980 -3.7051 -3.3943  0.0918
H: 4.3286 3.0901 -0.9186  0.1259
H: 6.3613 -0.8742 1.2001  0.1011
H: -3.9897 1.7699 2.3272  0.1133
H: 1.7304 4.6210 -1.4103  0.1161
H: 5.0035 -1.4680 0.0241  0.0956
H: 0.0693 -0.5634 3.6037  0.0802
H: -4.2224 2.4029 -2.0819  0.1251
H: -3.4325 -1.3148 -3.2245  0.0457
H: -1.4800 4.2482 -1.6059  0.1171
H: 9.3472 -3.8966 1.4764  0.1633
H: -5.1785 -1.3112 -0.4141  0.1139
H: -2.1866 0.7138 3.2542  0.1107
H: -2.6638 -0.0275 -1.5552  0.1156
H: 0.2460 -3.9055 -2.1147  0.1645
H: -1.0024 -0.1366 0.2710  0.0992
H: 0.4740 1.7282 -0.8488  0.0981
H: 3.2782 -0.0481 -0.8153  0.1339
H: -0.1110 -1.3596 1.8657  0.0780
H: 3.1014 2.9744 -3.1331  0.1082
H: -3.4894 1.2482 7.0665  0.1434
H: 10.6927 -3.0099 -1.1489  0.1430
H: -0.9154 -2.7409 -4.7193  0.1493
H: 2.0292 1.5262 -2.5517  0.1045
H: 0.7452 3.9814 -2.9363  0.1124
H: -5.9943 0.3266 4.5091  0.0955
H: -4.3444 -2.5118 -2.3510  0.0703
H: -0.7809 1.4552 1.3011  0.1250
H: -5.6534 1.5881 -1.1647  0.1375
H: -1.6753 2.4530 -2.2176  0.1255
H: 2.8179 2.4729 0.1263  0.1129
H: -4.8691 2.2911 0.8152  0.1209
H: 10.7104 -4.6197 -0.3817  0.1443
H: 4.8013 0.6938 -1.7644  0.1330
H: -1.5806 -4.0363 -3.6897  0.1497
H: -1.9721 3.4085 0.9329  0.1285
H: -4.8693 1.0884 -5.1477  0.1176
H: 11.5164 -2.6991 1.7525  0.0919
H: -4.2331 0.1234 4.3509  0.0646
H: 6.5483 -0.5957 -0.6569  0.0923
H: -6.3087 -1.2007 -2.2785  0.1239
H: 10.9428 -1.3889 0.6955  0.0917
H: -6.1963 1.2340 -3.5070  0.1485
H: -2.9058 -0.8062 2.4028  0.0803
H: -6.1374 -1.1704 -4.1551  0.1116
H: 1.5187 -3.1406 -4.8053  0.0927
H: -3.3983 3.4484 -0.3086  0.1081

=====

This record from OMol25 describes C30H54ClFHfP2Si2 as an isolated structure. The level of theory is ωB97M-V/def2-TZVPD.
____________

[Work order]
What is needed: restate the lines further up from the one with "-0.1144" to the one with "-0.2974" without additions.

[Solution]
C: 10.1201 -3.7113 -0.5314  -0.1144
C: -4.6841 1.3382 -1.8039  -0.0868
C: -1.3610 3.1127 -1.2744  -0.1906
C: 1.2683 3.6544 -1.9238  -0.2014
C: -2.4040 2.8682 -0.0184  -0.1625
C: -4.3402 -0.6180 0.0164  -0.1459
C: -0.9978 -3.1108 -3.6909  -0.0971
C: -5.5442 -0.9211 -3.1515  -0.2201
C: 2.4854 2.5547 -2.2194  -0.2171
C: -5.0348 0.4390 5.0252  -0.0114
C: 9.6394 -3.1196 0.7591  -0.3508
C: 4.1014 0.8147 -0.8158  -0.2203
C: -3.5762 0.4575 -0.9751  -0.1606
C: -4.8399 1.8739 5.4706  -0.3556
C: 5.7681 -0.6040 0.2235  -0.1381
C: -3.6527 2.0732 6.3637  -0.1157
C: -0.6350 -1.3571 -2.3630  -0.4571
C: -4.1441 1.4563 1.2092  -0.1468
C: -1.5498 0.5867 1.0191  -0.1274
C: 0.2171 2.8874 -0.8918  -0.2311
C: 10.6279 -2.1668 1.3997  -0.0200
C: 1.4318 -3.7612 -3.9068  -0.0157
C: -5.1809 0.6763 -3.2196  -0.3148
C: 3.4218 2.3176 -0.8707  -0.1715
C: -2.8032 1.2995 0.2393  -0.2974